Ekonomsku krizu koja je prisutna u Španjolskoj od 2008. godine pratilo je povećanje nejednakosti i stope siromaštva. Cilj rada je odrediti najranjivije društvene skupine u smislu siromaštva u Španjolskoj. Empirijska analiza koristi informacije iz Ankete o uvjetima života iz 2015. godine, kako bi objasnila varijablu siromaštva koja je katalogizirana u tri kategorije (teško siromaštvo, umjereno siromaštvo i bez rizika od siromaštva) kod osoba starijih od 16 godina; eksplanatorne varijable su sociodemografske i radne, te predstavljaju različite skupine španjolskog stanovništva. Studija primjenjuje multinomični logistički regresijski model na posljednje podatke Ankete o životnim uvjetima, koji će nam omogućiti procjenu vjerojatnosti da je osoba...
In Spain, the issue of unemployment or precarious employment worsen with globalization, leading to a...
Las consecuencias económicas y sociales de una recesión no son homogéneas para toda la población. En...
The main objective of this paper is to examine the contribution of the high unemployment rate for th...
Calculated crystals, kept here for reference:
/*
The following is a calculated powder diffraction line list of PrInBiPb. It was derived from a structure optimized by DFT (PBE), using Cu Kα X-rays.
Kinematic intensities with the Lorentz-polarization factor, no thermal factor.

The 6 most intense peaks (2θ = 10–90°), by intensity:
two_theta	d/Å	I (rel.)
31.52	2.839	100
35.81	2.507	18
36.61	2.455	17
37.23	2.415	16
61.68	1.504	15
62.74	1.481	14

Atomic structure:
abc: 4.831 4.909 5.015
angles: 90.00 90.00 90.00
Sites, in units of the cell vectors:
Pr1 0.000 0.000 0.000
In1 0.000 0.500 0.500
Bi1 0.500 0.500 0.000
Pb1 0.500 0.000 0.500

***

The following is a calculated powder diffraction line list of BaIn2S4. It was derived from a structure optimized by DFT (PBE), using Cu Kα X-rays.
Kinematic intensities with the Lorentz-polarization factor, no thermal factor.

The 6 most intense peaks (2θ = 10–90°), by intensity:
two_theta	d/Å	I (rel.)
35.40	2.535	100
22.61	3.933	72
22.28	3.990	43
46.21	1.964	31
31.96	2.800	30
27.71	3.220	27

Atomic structure:
abc: 6.443 6.443 11.201
angles: 90.00 90.00 118.05
Sites, in units of the cell vectors:
Ba1 0.000 0.000 0.250
Ba2 0.000 0.000 0.750
In1 0.269 0.726 0.000
In2 0.274 0.731 0.500
In3 0.726 0.269 0.500
In4 0.731 0.274 0.000
S1 0.000 0.500 0.168
S2 0.000 0.500 0.832
S3 0.139 0.304 0.500
S4 0.304 0.139 0.000
S5 0.500 0.000 0.332
S6 0.500 0.000 0.668
S7 0.696 0.861 0.000
S8 0.861 0.696 0.500

***

The following is a calculated powder diffraction line list of Nd4SmDy2. It was derived from a structure optimized by DFT (PBE), using Cu Kα X-rays.
Kinematic intensities with the Lorentz-polarization factor, no thermal factor.

The 6 most intense peaks (2θ = 10–90°), by intensity:
two_theta	d/Å	I (rel.)
30.01	2.977	100
31.25	2.862	65
30.51	2.930	32
31.94	2.802	31
36.81	2.442	29
32.12	2.786	23

Atomic structure:
abc: 12.627 12.627 6.854
angles: 97.01 97.01 150.16
Sites, in units of the cell vectors:
Nd1 0.019 0.981 0.500
Nd2 0.391 0.783 0.729
Nd3 0.399 0.862 0.260
Nd4 0.434 0.542 0.530
Nd5 0.542 0.434 0.030
Nd6 0.783 0.391 0.229
Nd7 0.862 0.399 0.760
Nd8 0.981 0.019 0.000
Sm1 0.153 0.904 0.129
Sm2 0.904 0.153 0.629
Dy1 0.272 0.953 0.679
Dy2 0.471 0.653 0.079
Dy3 0.653 0.471 0.579
Dy4 0.953 0.272 0.179

***

The following is a calculated powder diffraction line list of Zr4Bi3. It was derived from a structure optimized by DFT (PBE), using Cu Kα X-rays.
Kinematic intensities with the Lorentz-polarization factor, no thermal factor.

The 6 most intense peaks (2θ = 10–90°), by intensity:
two_theta	d/Å	I (rel.)
31.95	2.801	100
38.01	2.367	72
24.62	3.616	42
64.90	1.437	34
45.82	1.981	30
79.52	1.205	22

Atomic structure:
abc: 7.671 7.671 7.671
angles: 109.47 109.47 109.47
Sites, in units of the cell vectors:
Zr1 0.000 0.160 0.500
Zr2 0.000 0.660 0.500
Zr3 0.160 0.500 0.000
Zr4 0.340 0.340 0.340
Zr5 0.500 0.000 0.160
Zr6 0.500 0.000 0.660
Zr7 0.660 0.500 0.000
Zr8 0.840 0.840 0.840
Bi1 0.125 0.875 0.250
Bi2 0.250 0.125 0.875
Bi3 0.375 0.625 0.750
Bi4 0.625 0.750 0.375
*/
So much for the calculated crystals:
Ekonomsku krizu koja je prisutna u Španjolskoj od 2008. godine pratilo je povećanje nejednakosti i s...
The aims of this research are to assess the initial impact of the current economiccrisis on poverty ...
Artículo de revistaThis article describes the concept of population at risk of poverty or social exc...
Due to the global economic crisis and the impact of the adjustment policies imposed by successive La...
The main objective of this paper is to examine the contribution of the high unemployment rate for th...
RESUMEN: El presente documento analiza la evolución de la pobreza en España entre 2008 y 2018, once ...
The answer to the question posed by the title of this paper is not trivial, forcing us to research a...
Master in Economics: Empirical Applications and Policies. Academic Year: 2018-2019After the Great Re...
Spanish GDP indicator figures recover while the risk of poverty has not stopped increasing since 200...
Europska unija je odredila kako će prevladati siromaštvo i značajno napredovati u iskorjenjivanju si...
The main purpose of the study is to analyse the poverty level changes in the chosen European Union c...
Authors thank funding from the research contract between the Universidad de Alcalá and the Ministry ...
In Spain, the issue of unemployment or precarious employment worsen with globalization, leading to a...
Las consecuencias económicas y sociales de una recesión no son homogéneas para toda la población. En...
The main objective of this paper is to examine the contribution of the high unemployment rate for th...
Ekonomsku krizu koja je prisutna u Španjolskoj od 2008. godine pratilo je povećanje nejednakosti i s...
The aims of this research are to assess the initial impact of the current economiccrisis on poverty ...
Artículo de revistaThis article describes the concept of population at risk of poverty or social exc...
Due to the global economic crisis and the impact of the adjustment policies imposed by successive La...
The main objective of this paper is to examine the contribution of the high unemployment rate for th...
RESUMEN: El presente documento analiza la evolución de la pobreza en España entre 2008 y 2018, once ...
The answer to the question posed by the title of this paper is not trivial, forcing us to research a...
Master in Economics: Empirical Applications and Policies. Academic Year: 2018-2019After the Great Re...
Spanish GDP indicator figures recover while the risk of poverty has not stopped increasing since 200...
Europska unija je odredila kako će prevladati siromaštvo i značajno napredovati u iskorjenjivanju si...
The main purpose of the study is to analyse the poverty level changes in the chosen European Union c...
Authors thank funding from the research contract between the Universidad de Alcalá and the Ministry ...
In Spain, the issue of unemployment or precarious employment worsen with globalization, leading to a...
Las consecuencias económicas y sociales de una recesión no son homogéneas para toda la población. En...
The main objective of this paper is to examine the contribution of the high unemployment rate for th...